Suck My Controller is the Gamers Heroes Podcast where we talk about video games. We love all different kinds of Video Games from the most popular franchises like Pokemon and Call of Duty to the smaller names in the MMO universe. If you like our podcast make sure to rate us on iTunes and give us some subscibtions. Just search Gamers Heroes or Suck My Controller and get our weekly angel voices for your ears.
This week is a little late and a little short but still packed full of enjoyment and juicy content. Jake again couldn’t join us because he is probably to busy not being around listening to us! We break apart Borderlands 2 this week and talk about the amazing writing, weapons and lack luster side quests. We have been writing a ton of guides so make sure to check those out. We also talk about some MMO news along side some new hardware that is available from SteelSeriese. Come listen to us as we shoot the s*** about this week in video games. Make sure to listen to the end for your way to get a copy of a free game!
Suck My Controller: Borderlands 2 Edition (MP3) – 44 MB (right click to save) Subscribe to us in on any of your devices or readers!
Make sure to tell us what you think at [email protected].
If you ever want a backstage peek at what we talk about before or after the show make sure to listen to our outro with music this week by DJ Cutman & Sparmtron. The song is called Overworld and can be found here. The remix of old Zelda music is pretty amazing so make sure to check out their site.
Some links to follow us at. Make sure you check out our facebook for contests!
Thousand Cuts is the area where you meet up with Brick. After you get through the story quest here he will go back to Sanctuary. From there you can get some side quests for the area
-- Crystal structures, kept here for reference --
# Te2AuSe

Crystalline Te2AuSe at its relaxed geometry (PBE, Alexandria).

The value obtained for the energy above the most stable polymorph in this dataset is 0.117 eV/atom. Its uncorrected formation energy is 0.102 eV/atom.

It has space group R-3m (No. 166, hexagonal axes), with a = 4.2376 Å, b = 4.2376 Å, c = 24.6658 Å, α = 90.00°, β = 90.00° and γ = 120.00°. Symmetry generates all atoms from Te at (0.0000, 0.0000, 0.1072), Au at (0.0000, 0.0000, 0.5000) and Se at (0.0000, 0.0000, 0.0000).
This Borderlands 2 Walkthrough Guide Collection will give easy links to all of our currently published Borderlands 2 Guides, opening in new windows for ease of use
Lynchwood is the town where Jack’s girlfriend lives. She is the sheriff of the town and seems to be just as crazy as Jack. There are quite a few side quests here and this guide will help you beat
The Borderlands can be a tumultuous place, so why not use our guides to help in your journeys to the next vault. The first area of Borderlands 2 is called Southern Shelf. There is plenty of area to
Sanctuary is one of the town hubs that you come across very early in the Borderlands 2 Campaign. All of your favorite characters are there along with 5 Vault Symbols to be found
The Caustic Caverns open up after Sanctuary is moved. You need to fight your way through the Sanctuary hole in order to get to the zone. Here there are a few side quests to be done
The first bosses in Borderlands 2 are Boom and Bewm. Boom sits in a giant tank while Bewm flies around and tries flank you. There is a challenge here to not get shot by the tank
Eridium is one of the most sought after currency on Pandora in Borderlands 2. You can use Eridium to buy upgrades for all of your weapons, banks and backpack that you used to have to buy with money